Brief.
Echo every line underneath that contains the word "C1", please.

Excerpt.
~~~
(1)
CaSi2Cl after structural relaxation, computed with PBE.

Summary:
- space-group type = I-4m2
- total magnetic moment (μB per formula unit) = 0.000
- energy relative to the lowest polymorph listed for this composition (meV/atom) = 659

Cell and atoms, written as POSCAR:
```
CaSi2Cl
1.0
4.9065 -0.0034 0.0000
0.0170 4.9065 0.0000
-2.4618 -2.4516 3.4646
Ca Cl Si
1 1 2
direct
0.5000 0.5000 0.0000 Ca
0.7500 0.2500 0.5000 Cl
0.0000 0.0000 0.0000 Si
0.2500 0.7500 0.5000 Si
```

=====

(2)
CaSi2Cl after structural relaxation, computed with PBE.

Summary:
- space-group type = Cm
- total magnetic moment (μB per formula unit) = 0.000
- energy relative to the lowest polymorph listed for this composition (meV/atom) = 0

Cell and atoms, written as POSCAR:
```
CaSi2Cl
1.0
-3.2191 1.2535 -1.8441
-2.0222 -2.4485 -2.2913
-6.0644 -2.5526 4.9010
Ca Cl Si
1 1 2
direct
0.5074 0.5074 0.4836 Ca
0.7805 0.7805 0.6736 Cl
0.9527 0.9527 0.1293 Si
0.2594 0.2594 0.2135 Si
```

=====

(3)
CaSiCl2 after structural relaxation, computed with PBE.

Summary:
- space-group type = I-42d
- total magnetic moment (μB per formula unit) = 0.000
- energy relative to the lowest polymorph listed for this composition (meV/atom) = 203

Cell and atoms, written as POSCAR:
```
CaSiCl2
1.0
-3.7729 -5.0866 4.4121
0.4913 -5.2520 -5.6347
1.2320 -6.2274 0.6255
Ca Si Cl
2 2 4
direct
0.0000 0.0000 0.0000 Ca
0.7500 0.2500 0.5000 Ca
0.5000 0.5000 0.0000 Si
0.2500 0.7500 0.5000 Si
0.6331 0.1250 0.2500 Cl
0.1169 0.6250 0.2500 Cl
0.3750 0.3669 0.7500 Cl
0.8750 0.8831 0.7500 Cl
```

=====

Repeat the third record exactly.
CaSiCl2 after structural relaxation, computed with PBE.

Summary:
- space-group type = I-42d
- total magnetic moment (μB per formula unit) = 0.000
- energy relative to the lowest polymorph listed for this composition (meV/atom) = 203

Cell and atoms, written as POSCAR:
```
CaSiCl2
1.0
-3.7729 -5.0866 4.4121
0.4913 -5.2520 -5.6347
1.2320 -6.2274 0.6255
Ca Si Cl
2 2 4
direct
0.0000 0.0000 0.0000 Ca
0.7500 0.2500 0.5000 Ca
0.5000 0.5000 0.0000 Si
0.2500 0.7500 0.5000 Si
0.6331 0.1250 0.2500 Cl
0.1169 0.6250 0.2500 Cl
0.3750 0.3669 0.7500 Cl
0.8750 0.8831 0.7500 Cl
```

* * * * *

No. 1
VASP calculation (PBE-GGA) on a relaxed DyLuTeC crystal.

## Properties
Symmetry ... P-3m1, No. 164

Geometry as CIF:
```
data_DyLuTeC
_space_group_name_H-M_alt 'P 1'
_space_group_IT_number 1
_cell_length_a 3.787
_cell_length_b 3.787
_cell_length_c 13.868
_cell_angle_alpha 90.00
_cell_angle_beta 90.00
_cell_angle_gamma 120.00
loop_
_space_group_symop_operation_xyz
'x,y,z'
loop_
_atom_site_label
_atom_site_type_symbol
_atom_site_fract_x
_atom_site_fract_y
_atom_site_fract_z
Dy1 Dy 0.333 0.667 0.405
Dy2 Dy 0.667 0.333 0.595
Lu1 Lu 0.333 0.667 0.090
Lu2 Lu 0.667 0.333 0.910
Te1 Te 0.333 0.667 0.755
Te2 Te 0.667 0.333 0.245
C1 C 0.000 0.000 0.000
C2 C 0.000 0.000 0.500
```

No. 2
VASP calculation (PBE-GGA) on a relaxed DyLuTeC crystal.

## Properties
Symmetry ... P6_3mc, No. 186

Geometry as CIF:
```
data_DyLuTeC
_space_group_name_H-M_alt 'P 1'
_space_group_IT_number 1
_cell_length_a 3.788
_cell_length_b 3.788
_cell_length_c 13.858
_cell_angle_alpha 90.00
_cell_angle_beta 90.00
_cell_angle_gamma 120.00
loop_
_space_group_symop_operation_xyz
'x,y,z'
loop_
_atom_site_label
_atom_site_type_symbol
_atom_site_fract_x
_atom_site_fract_y
_atom_site_fract_z
Dy1 Dy 0.333 0.667 0.000
Dy2 Dy 0.667 0.333 0.500
Lu1 Lu 0.333 0.667 0.315
Lu2 Lu 0.667 0.333 0.815
Te1 Te 0.333 0.667 0.660
Te2 Te 0.667 0.333 0.160
C1 C 0.000 0.000 0.405
C2 C 0.000 0.000 0.905
```

| no. | energy (eV per atom) | volume (Å³ per cell) |
| --- | --- | --- |
| 1 | -6.2509 | 172 |
| 2 | -6.2505 | 172 |
~~~

Written answer.
C1 C 0.000 0.000 0.000
C1 C 0.000 0.000 0.405